Work order:
Please type out the calculation results further below word for word.
Material:
~~~
Entry 1:
Structure and theoretical powder XRD pattern of AcMg2AlCd2 (a DFT-relaxed cell (GGA-PBE, Alexandria); Cu Kα).
Peak positions follow from Bragg's law for the DFT cell and can differ from measured ones.

Crystal structure
a = 5.335 Å, b = 5.335 Å, c = 12.220 Å
α = 90.00°, β = 90.00°, γ = 90.00°
Space group I4/mmm (No. 139)
Inequivalent atoms, fractional coordinates:
Ac 0.000 0.000 0.000 [2 per cell]
Mg 0.000 0.500 0.250 [4 per cell]
Al 0.000 0.000 0.500 [2 per cell]
Cd 0.000 0.000 0.292 [4 per cell]

Peak list (8 most intense, 10 to 80 degrees two-theta, by angle)
two_theta	intensity	hkl
18.14	34	1 0 1
23.59	100	1 1 0
27.55	96	1 0 3
29.23	27	0 0 4
33.60	63	2 0 0
37.90	31	1 1 4
43.98	55	2 1 3
45.12	33	2 0 4

=====

Entry 2:
Structure and theoretical powder XRD pattern of Ac2Al12CdPt3 (a DFT-relaxed cell (GGA-PBE, Alexandria); Cu Kα).
Peak positions follow from Bragg's law for the DFT cell and can differ from measured ones.

Crystal structure
a = 9.2026 Å, b = 9.2026 Å, c = 18.1325 Å
α = 90.00°, β = 90.00°, γ = 120.00°
Space group R-3m (No. 166, hexagonal axes)
Inequivalent atoms, fractional coordinates:
Ac 0.0000 0.0000 0.1010 [6 per cell]
Al 0.0032 0.5016 0.1352 [18 per cell]
Al 0.0677 0.5339 0.3004 [18 per cell]
Cd 0.0000 0.0000 0.5000 [3 per cell]
Pt 0.0000 0.5000 0.0000 [9 per cell]

Peak list (8 most intense, 10 to 80 degrees two-theta, by angle)
two_theta	intensity	hkl
22.57	26	1 0 4
22.85	100	0 2 1
24.36	94	2 0 2
27.01	38	0 1 5
38.87	30	1 2 5
39.16	62	2 2 0
45.82	18	4 0 1
48.21	20	3 1 5

=====

Entry 3:
Structure and theoretical powder XRD pattern of AcCe4Al4 (a DFT-relaxed cell (GGA-PBE, Alexandria); Cu Kα).
Peak positions follow from Bragg's law for the DFT cell and can differ from measured ones.

Crystal structure
a = 10.212 Å, b = 10.212 Å, c = 4.258 Å
α = 90.00°, β = 90.00°, γ = 90.00°
Space group I4/mmm (No. 139)
Inequivalent atoms, fractional coordinates:
Ac 0.000 0.000 0.000 [2 per cell]
Ce 0.191 0.191 0.500 [8 per cell]
Al 0.000 0.353 0.000 [8 per cell]

Peak list (8 most intense, 10 to 80 degrees two-theta, by angle)
two_theta	intensity	hkl
12.26	38	1 1 0
24.66	40	2 2 0
28.66	46	2 1 1
33.71	100	3 0 1
37.36	33	3 3 0
52.85	31	5 2 1
57.82	18	3 3 2
65.07	16	6 3 1

=====

Entry 4:
Structure and theoretical powder XRD pattern of Ac2Ce2AlGe4 (a DFT-relaxed cell (GGA-PBE, Alexandria); Cu Kα).
Peak positions follow from Bragg's law for the DFT cell and can differ from measured ones.

Crystal structure
a = 7.378 Å, b = 7.378 Å, c = 8.759 Å
α = 90.00°, β = 90.00°, γ = 90.00°
Space group I4/mmm (No. 139)
Inequivalent atoms, fractional coordinates:
Ac 0.000 0.500 0.250 [4 per cell]
Ce 0.000 0.000 0.162 [4 per cell]
Al 0.000 0.000 0.500 [2 per cell]
Ge 0.244 0.244 0.500 [8 per cell]

Peak list (8 most intense, 10 to 80 degrees two-theta, by angle)
two_theta	intensity	hkl
24.13	28	2 0 0
26.57	26	1 1 2
31.71	100	2 0 2
34.38	63	2 2 0
41.27	18	0 0 4
44.89	19	1 1 4
49.41	23	4 0 0
59.91	33	4 2 2

=====

Entry 5:
Structure and theoretical powder XRD pattern of AcCe2Al2Ge2 (a DFT-relaxed cell (GGA-PBE, Alexandria); Cu Kα).
Peak positions follow from Bragg's law for the DFT cell and can differ from measured ones.

Crystal structure
a = 4.4266 Å, b = 4.4266 Å, c = 29.6050 Å
α = 90.00°, β = 90.00°, γ = 120.00°
Space group R-3m (No. 166, hexagonal axes)
Inequivalent atoms, fractional coordinates:
Ac 0.0000 0.0000 0.0000 [3 per cell]
Ce 0.0000 0.0000 0.1403 [6 per cell]
Al 0.0000 0.0000 0.4140 [6 per cell]
Ge 0.0000 0.0000 0.2587 [6 per cell]

Peak list (8 most intense, 10 to 80 degrees two-theta, by angle)
two_theta	intensity	hkl
23.40	68	1 0 1
31.50	100	1 0 7
33.66	68	0 1 8
40.77	69	1 1 0
52.41	24	0 2 7
53.87	18	2 0 8
63.11	25	1 1 15
68.45	22	2 1 7

=====

Entry 6:
Structure and theoretical powder XRD pattern of AcCePrAl (a DFT-relaxed cell (GGA-PBE, Alexandria); Cu Kα).
Peak positions follow from Bragg's law for the DFT cell and can differ from measured ones.

Crystal structure
a = 7.914 Å, b = 7.914 Å, c = 7.914 Å
~~~
Outcome:
Entry 1:
Structure and theoretical powder XRD pattern of AcMg2AlCd2 (a DFT-relaxed cell (GGA-PBE, Alexandria); Cu Kα).
Peak positions follow from Bragg's law for the DFT cell and can differ from measured ones.

Crystal structure
a = 5.335 Å, b = 5.335 Å, c = 12.220 Å
α = 90.00°, β = 90.00°, γ = 90.00°
Space group I4/mmm (No. 139)
Inequivalent atoms, fractional coordinates:
Ac 0.000 0.000 0.000 [2 per cell]
Mg 0.000 0.500 0.250 [4 per cell]
Al 0.000 0.000 0.500 [2 per cell]
Cd 0.000 0.000 0.292 [4 per cell]

Peak list (8 most intense, 10 to 80 degrees two-theta, by angle)
two_theta	intensity	hkl
18.14	34	1 0 1
23.59	100	1 1 0
27.55	96	1 0 3
29.23	27	0 0 4
33.60	63	2 0 0
37.90	31	1 1 4
43.98	55	2 1 3
45.12	33	2 0 4

=====

Entry 2:
Structure and theoretical powder XRD pattern of Ac2Al12CdPt3 (a DFT-relaxed cell (GGA-PBE, Alexandria); Cu Kα).
Peak positions follow from Bragg's law for the DFT cell and can differ from measured ones.

Crystal structure
a = 9.2026 Å, b = 9.2026 Å, c = 18.1325 Å
α = 90.00°, β = 90.00°, γ = 120.00°
Space group R-3m (No. 166, hexagonal axes)
Inequivalent atoms, fractional coordinates:
Ac 0.0000 0.0000 0.1010 [6 per cell]
Al 0.0032 0.5016 0.1352 [18 per cell]
Al 0.0677 0.5339 0.3004 [18 per cell]
Cd 0.0000 0.0000 0.5000 [3 per cell]
Pt 0.0000 0.5000 0.0000 [9 per cell]

Peak list (8 most intense, 10 to 80 degrees two-theta, by angle)
two_theta	intensity	hkl
22.57	26	1 0 4
22.85	100	0 2 1
24.36	94	2 0 2
27.01	38	0 1 5
38.87	30	1 2 5
39.16	62	2 2 0
45.82	18	4 0 1
48.21	20	3 1 5

=====

Entry 3:
Structure and theoretical powder XRD pattern of AcCe4Al4 (a DFT-relaxed cell (GGA-PBE, Alexandria); Cu Kα).
Peak positions follow from Bragg's law for the DFT cell and can differ from measured ones.

Crystal structure
a = 10.212 Å, b = 10.212 Å, c = 4.258 Å
α = 90.00°, β = 90.00°, γ = 90.00°
Space group I4/mmm (No. 139)
Inequivalent atoms, fractional coordinates:
Ac 0.000 0.000 0.000 [2 per cell]
Ce 0.191 0.191 0.500 [8 per cell]
Al 0.000 0.353 0.000 [8 per cell]

Peak list (8 most intense, 10 to 80 degrees two-theta, by angle)
two_theta	intensity	hkl
12.26	38	1 1 0
24.66	40	2 2 0
28.66	46	2 1 1
33.71	100	3 0 1
37.36	33	3 3 0
52.85	31	5 2 1
57.82	18	3 3 2
65.07	16	6 3 1

=====

Entry 4:
Structure and theoretical powder XRD pattern of Ac2Ce2AlGe4 (a DFT-relaxed cell (GGA-PBE, Alexandria); Cu Kα).
Peak positions follow from Bragg's law for the DFT cell and can differ from measured ones.

Crystal structure
a = 7.378 Å, b = 7.378 Å, c = 8.759 Å
α = 90.00°, β = 90.00°, γ = 90.00°
Space group I4/mmm (No. 139)
Inequivalent atoms, fractional coordinates:
Ac 0.000 0.500 0.250 [4 per cell]
Ce 0.000 0.000 0.162 [4 per cell]
Al 0.000 0.000 0.500 [2 per cell]
Ge 0.244 0.244 0.500 [8 per cell]

Peak list (8 most intense, 10 to 80 degrees two-theta, by angle)
two_theta	intensity	hkl
24.13	28	2 0 0
26.57	26	1 1 2
31.71	100	2 0 2
34.38	63	2 2 0
41.27	18	0 0 4
44.89	19	1 1 4
49.41	23	4 0 0
59.91	33	4 2 2

=====

Entry 5:
Structure and theoretical powder XRD pattern of AcCe2Al2Ge2 (a DFT-relaxed cell (GGA-PBE, Alexandria); Cu Kα).
Peak positions follow from Bragg's law for the DFT cell and can differ from measured ones.

Crystal structure
a = 4.4266 Å, b = 4.4266 Å, c = 29.6050 Å
α = 90.00°, β = 90.00°, γ = 120.00°
Space group R-3m (No. 166, hexagonal axes)
Inequivalent atoms, fractional coordinates:
Ac 0.0000 0.0000 0.0000 [3 per cell]
Ce 0.0000 0.0000 0.1403 [6 per cell]
Al 0.0000 0.0000 0.4140 [6 per cell]
Ge 0.0000 0.0000 0.2587 [6 per cell]

Peak list (8 most intense, 10 to 80 degrees two-theta, by angle)
two_theta	intensity	hkl
23.40	68	1 0 1
31.50	100	1 0 7
33.66	68	0 1 8
40.77	69	1 1 0
52.41	24	0 2 7
53.87	18	2 0 8
63.11	25	1 1 15
68.45	22	2 1 7

=====

Entry 6:
Structure and theoretical powder XRD pattern of AcCePrAl (a DFT-relaxed cell (GGA-PBE, Alexandria); Cu Kα).
Peak positions follow from Bragg's law for the DFT cell and can differ from measured ones.

Crystal structure
a = 7.914 Å, b = 7.914 Å, c = 7.914 Å